[Brief]
Search the material below for the word "total" and transcribe each line that has it.
[Source]
# 1
Below is an optimized crystal structure of CaTi2S4, with properties calculated at the PBE-GGA level.

Values from the calculation:
ρ ... 3.1 g/cm³
Crystal system ... monoclinic
Spin magnetization ... 0.0653 μB per atom
DFT formation energy ... -1248 kJ/mol of formula units
Raw total energy ... -90.53 eV/cell

abc: 14.5845 3.5462 5.9786
angles: 90.00 112.57 90.00
Space group C2/m (No. 12)
Inequivalent atoms, fractional coordinates:
Ca  0.0000  0.0000  0.0000 x2
Ti  0.2462  0.5000  0.7303 x4
S  0.1398  0.0000  0.4815 x4
S  0.1454  0.5000  0.9872 x4

# 2
Below is an optimized crystal structure of Ca3Ti4S8, with properties calculated at the PBE-GGA level.

Values from the calculation:
ρ ... 3.2 g/cm³
Crystal system ... monoclinic
Spin magnetization ... 0.0271 μB per atom
DFT formation energy ... -2664 kJ/mol of formula units
Raw total energy ... -188.56 eV/cell

abc: 12.3121 7.1557 9.0197
angles: 90.00 132.47 90.00
Space group C2/m (No. 12)
Inequivalent atoms, fractional coordinates:
Ca  0.0000  0.0000  0.0000 x2
Ca  0.2500  0.2500  0.0000 x4
Ti  0.0000  0.2787  0.5000 x4
Ti  0.2393  0.5000  0.4944 x4
S  0.0217  0.0000  0.7091 x4
S  0.0300  0.5000  0.7331 x4
S  0.2266  0.2474  0.2853 x8

# 3
Below is an optimized crystal structure of Ca5Ti8S16, with properties calculated at the PBE-GGA level.

Values from the calculation:
ρ ... 3.1 g/cm³
Crystal system ... monoclinic
Spin magnetization ... 0.2169 μB per atom
DFT formation energy ... -5150 kJ/mol of formula units
Raw total energy ... -369.41 eV/cell

abc: 12.2782 7.1505 13.3235
angles: 90.00 91.30 90.00
Space group C2/m (No. 12)
Inequivalent atoms, fractional coordinates:
Ca  0.0000  0.0000  0.0000 x2
Ca  0.0000  0.0000  0.5000 x2
Ca  0.0000  0.5000  0.0000 x2
Ca  0.2500  0.2500  0.5000 x4
Ti  0.0070  0.5000  0.7457 x4
Ti  0.0163  0.0000  0.7492 x4
Ti  0.2393  0.2361  0.7552 x8
S  0.0779  0.2502  0.1490 x8
S  0.0830  0.2498  0.6374 x8
S  0.1672  0.0000  0.3565 x4
S  0.1683  0.5000  0.8547 x4
S  0.1702  0.0000  0.8668 x4
S  0.1709  0.5000  0.3551 x4

# 4
Below is an optimized crystal structure of CaTiS2, with properties calculated at the PBE-GGA level.

Values from the calculation:
ρ ... 3.4 g/cm³
Crystal system ... trigonal
Spin magnetization ... 0.0484 μB per atom
DFT formation energy ... -691 kJ/mol of formula units
Raw total energy ... -24.33 eV/cell

abc: 3.6451 3.6451 6.5415
angles: 90.00 90.00 120.00
Space group P-3m1 (No. 164)
Inequivalent atoms, fractional coordinates:
Ca  0.0000  0.0000  0.0000 x1
Ti  0.0000  0.0000  0.5000 x1
S  0.3333  0.6667  0.2803 x2

# 5
Below is an optimized crystal structure of CaTi2S4, with properties calculated at the PBE-GGA level.

Values from the calculation:
ρ ... 2.8 g/cm³
Crystal system ... cubic
Spin magnetization ... 0.2842 μB per atom
DFT formation energy ... -1143 kJ/mol of formula units
Raw total energy ... -353.40 eV/cell

abc: 10.7381 10.7381 10.7381
angles: 90.00 90.00 90.00
Space group Fd-3m (No. 227, origin choice 2)
Inequivalent atoms, fractional coordinates:
Ca  0.1250  0.1250  0.1250 x8
Ti  0.0000  0.0000  0.5000 x16
S  0.0161  0.0161  0.7339 x32

# 6
Below is an optimized crystal structure of CaTi2S4, with properties calculated at the PBE-GGA level.

Values from the calculation:
ρ ... 2.8 g/cm³
Crystal system ... tetragonal
Spin magnetization ... 0.2834 μB per atom
DFT formation energy ... -1141 kJ/mol of formula units
Raw total energy ... -176.64 eV/cell

abc: 7.3793 7.3793 11.3199
angles: 90.00 90.00 90.00
Space group I4_1/amd (No. 141, origin choice 2)
Inequivalent atoms, fractional coordinates:
Ca  0.0000  0.2500  0.3750 x4
Ti  0.0000  0.0000  0.0000 x8
S  0.0000  0.0203  0.7762 x16

# 7
Below is an optimized crystal structure of CaTi2S4, with properties calculated at the PBE-GGA level.

Values from the calculation:
ρ ... 3.1 g/cm³
Crystal system ... monoclinic
Spin magnetization ... 0.0016 μB per atom
DFT formation energy ... -1255 kJ/mol of formula units
Raw total energy ... -45.34 eV/cell

abc: 5.9621 3.5613 6.9437
[Here it is]
Raw total energy ... -90.53 eV/cell
Raw total energy ... -188.56 eV/cell
Raw total energy ... -369.41 eV/cell
Raw total energy ... -24.33 eV/cell
Raw total energy ... -353.40 eV/cell
Raw total energy ... -176.64 eV/cell
Raw total energy ... -45.34 eV/cell